# Material
/*
1.
Compound: BaNiHgPb2
Source: Alexandria
Functional: GGA-PBE
Structure: relaxed

The formation energy is -128 meV per atom. The energy above the most stable polymorph in this dataset comes out at 0.046 eV/atom.

It has space group P4/mmm (No. 123), with a = 5.1426 Å, b = 5.1426 Å, c = 5.9735 Å, α = 90.00°, β = 90.00° and γ = 90.00°. Symmetry generates all atoms from Ba at (0.0000, 0.0000, 0.0000), Ni at (0.0000, 0.0000, 0.5000), Hg at (0.5000, 0.5000, 0.0000) and Pb at (0.0000, 0.5000, 0.5000).

---

2.
Compound: Ca3Ga9Co2
Source: Alexandria
Functional: GGA-PBE
Structure: relaxed

The formation energy is -376 meV per atom.

It has space group Immm (No. 71), with a = 4.1996 Å, b = 9.7836 Å, c = 12.4201 Å, α = 90.00°, β = 90.00° and γ = 90.00°. Symmetry generates all atoms from Ca at (0.0000, 0.0000, 0.0000), Ca at (0.0000, 0.0000, 0.3108), Ga at (0.0000, 0.2840, 0.1214), Ga at (0.0000, 0.3589, 0.3382), Ga at (0.0000, 0.5000, 0.0000) and Co at (0.0000, 0.2100, 0.5000).

---

3.
Compound: ZnIr2Os
Source: Alexandria
Functional: GGA-PBE
Structure: relaxed

The formation energy is 5 meV per atom.

It has space group R-3m (No. 166, hexagonal axes), with a = 2.7652 Å, b = 2.7652 Å, c = 26.1644 Å, α = 90.00°, β = 90.00° and γ = 120.00°. Symmetry generates all atoms from Zn at (0.0000, 0.0000, 0.0000), Ir at (0.0000, 0.0000, 0.2495) and Os at (0.0000, 0.0000, 0.5000).

---

4.
Compound: AcLaPuAl
Source: Alexandria
Functional: GGA-PBE
Structure: relaxed

The formation energy is 175 meV per atom.

It has space group F-43m (No. 216), with a = 7.8864 Å, b = 7.8864 Å, c = 7.8864 Å, α = 90.00°, β = 90.00° and γ = 90.00°. Symmetry generates all atoms from Ac at (0.0000, 0.0000, 0.0000), La at (0.2500, 0.2500, 0.7500), Pu at (0.2500, 0.2500, 0.2500) and Al at (0.0000, 0.0000, 0.5000).

---

5.
Compound: DyLuMo4
Source: Alexandria
Functional: GGA-PBE
Structure: relaxed

The formation energy is 57 meV per atom.

It has space group F-43m (No. 216), with a = 7.7715 Å, b = 7.7715 Å, c = 7.7715 Å, α = 90.00°, β = 90.00° and γ = 90.00°. Symmetry generates all atoms from Dy at (0.0000, 0.0000, 0.0000), Lu at (0.2500, 0.2500, 0.7500) and Mo at (0.1250, 0.1250, 0.3750).

---

6.
Compound: AcTbPm2Se4
Source: Alexandria
Functional: GGA-PBE
Structure: relaxed

The formation energy without anion corrections is -1.8016 eV/atom.

It has space group P2/m (No. 10), with a = 7.2920 Å, b = 4.1812 Å, c = 7.4934 Å, α = 90.00°, β = 108.72° and γ = 90.00°. Symmetry generates all atoms from Ac at (0.0000, 0.0000, 0.0000), Tb at (0.0000, 0.5000, 0.5000), Pm at (0.5000, 0.0000, 0.5000), Pm at (0.5000, 0.5000, 0.0000), Se at (0.2483, 0.0000, 0.7371) and Se at (0.2581, 0.5000, 0.2658).

---

7.
Compound: RbVPb3
Source: Alexandria
Functional: GGA-PBE
Structure: relaxed

The formation energy is 1667 meV per atom. The energy above the most stable polymorph in this dataset comes out at 1.548 eV/atom.

It has space group Pm-3m (No. 221), with a = 6.0335 Å, b = 6.0335 Å, c = 6.0335 Å, α = 90.00°, β = 90.00° and γ = 90.00°. Symmetry generates all atoms from Rb at (0.0000, 0.0000, 0.0000), V at (0.5000, 0.5000, 0.5000) and Pb at (0.0000, 0.0000, 0.5000).

---

8.
Compound: Al2V4Cr3
Source: Alexandria
Functional: GGA-PBE
Structure: relaxed

The formation energy is 73 meV per atom.

It has space group P2_1/c (No. 14), with a = 6.5994 Å, b = 7.3234 Å, c = 5.0762 Å, α = 90.00°, β = 101.08° and γ = 90.00°. Symmetry generates all atoms from Al at (0.1406, 0.2319, 0.0620), V at (0.1679, 0.5708, 0.2344), V at (0.4989, 0.6663, 0.0254), Cr at (0.1796, 0.5926, 0.7580) and Cr at (0.5000, 0.0000, 0.0000).

---

9.
Compound: Rb3Au3I8
Source: Alexandria
Functional: GGA-PBE
Structure: relaxed

The formation energy without anion corrections is -0.7031 eV/atom.
*/

# Job
Work out how many lines further above have the word "anion" in them; a number is enough.

# Reply
2